Brief.
Count the lines further down that contain the word "rel" and give the number alone.

Given.
/*
# 1
For K6Ga3Br14, a structure optimized by DFT (PBE) gives the computed X-ray diffraction stick pattern in this record (Cu Kα (weighted mean of Kα1 and Kα2)).
Kinematic intensities with the Lorentz-polarization factor, no thermal factor.

Atomic structure:
a = 12.1888 Å, b = 12.1888 Å, c = 6.5375 Å
α = 90.00°, β = 90.00°, γ = 120.00°
Atoms (fractional coordinates):
K  0.0070  0.5571  0.0000
K  0.3272  0.1086  0.5272
K  0.4429  0.4499  0.0000
K  0.5501  0.9930  0.0000
K  0.7814  0.6728  0.5272
K  0.8914  0.2186  0.5272
Ga  0.0000  0.0000  0.9210
Ga  0.3333  0.6667  0.4016
Ga  0.6667  0.3333  0.2727
Br  0.0000  0.0000  0.2799
Br  0.0758  0.8680  0.7902
Br  0.1320  0.2077  0.7902
Br  0.2022  0.4583  0.2749
Br  0.2561  0.7978  0.2749
Br  0.3333  0.6667  0.7626
Br  0.4394  0.1834  0.0456
Br  0.5143  0.4100  0.5017
Br  0.5417  0.7439  0.2749
Br  0.5900  0.1043  0.5017
Br  0.7440  0.5606  0.0456
Br  0.7923  0.9242  0.7902
Br  0.8166  0.2560  0.0456
Br  0.8957  0.4857  0.5017

The 8 most intense peaks (5° ≤ 2θ ≤ 70°), sorted by position:
2θ (°), I (rel.)
14.5, 48
15.9, 45
22.3, 38
26.2, 100
28.6, 49
28.8, 65
30.5, 42
32.2, 33

# 2
For Tb3Pm3Ga4, a structure optimized by DFT (PBE) gives the computed X-ray diffraction stick pattern in this record (Cu Kα (weighted mean of Kα1 and Kα2)).
Kinematic intensities with the Lorentz-polarization factor, no thermal factor.

Atomic structure:
a = 4.4759 Å, b = 7.7064 Å, c = 7.7064 Å
α = 90.50°, β = 90.00°, γ = 90.00°
Atoms (fractional coordinates):
Tb  0.0000  0.0000  0.0000
Tb  0.5000  0.1761  0.6757
Tb  0.5000  0.6757  0.1761
Pm  0.0000  0.3482  0.3482
Pm  0.0000  0.5017  0.8506
Pm  0.0000  0.8506  0.5017
Ga  0.5000  0.0551  0.2915
Ga  0.5000  0.2915  0.0551
Ga  0.5000  0.5574  0.5574
Ga  0.5000  0.7980  0.7980

The 8 most intense peaks (5° ≤ 2θ ≤ 70°), sorted by position:
2θ (°), I (rel.)
25.8, 35
30.6, 100
32.7, 83
32.9, 72
36.8, 34
37.0, 33
40.3, 37
68.5, 22

# 3
For Zn3InAg6, a structure optimized by DFT (PBE) gives the computed X-ray diffraction stick pattern in this record (Cu Kα (weighted mean of Kα1 and Kα2)).
Kinematic intensities with the Lorentz-polarization factor, no thermal factor.

Atomic structure:
a = 8.7345 Å, b = 4.3223 Å, c = 9.2316 Å
α = 90.00°, β = 95.03°, γ = 90.00°
Atoms (fractional coordinates):
Zn  0.0478  0.2500  0.3944
Zn  0.1526  0.7500  0.1829
Zn  0.2502  0.2500  0.9829
Zn  0.7498  0.7500  0.0171
Zn  0.8474  0.2500  0.8171
Zn  0.9522  0.7500  0.6056
In  0.4407  0.2500  0.6050
In  0.5593  0.7500  0.3950
Ag  0.0367  0.7500  0.8999
Ag  0.1238  0.2500  0.6949
Ag  0.2271  0.7500  0.4806
Ag  0.3324  0.2500  0.2803
Ag  0.3375  0.7500  0.7927
Ag  0.4448  0.7500  0.0912
Ag  0.5552  0.2500  0.9088
Ag  0.6625  0.2500  0.2073
Ag  0.6676  0.7500  0.7197
Ag  0.7729  0.2500  0.5194
Ag  0.8762  0.7500  0.3051
Ag  0.9633  0.2500  0.1001

The 8 most intense peaks (5° ≤ 2θ ≤ 70°), sorted by position:
2θ (°), I (rel.)
37.9, 100
38.2, 100
41.8, 40
42.8, 35
47.8, 21
61.4, 23
65.3, 17
65.8, 8

# 4
For Er8CSe6, a structure optimized by DFT (PBE) gives the computed X-ray diffraction stick pattern in this record (Cu Kα (weighted mean of Kα1 and Kα2)).
Kinematic intensities with the Lorentz-polarization factor, no thermal factor.

Atomic structure:
a = 8.2947 Å, b = 8.2947 Å, c = 5.7833 Å
α = 90.00°, β = 90.00°, γ = 120.00°
Atoms (fractional coordinates):
Er  0.0000  0.2407  0.2573
Er  0.0000  0.7593  0.7427
Er  0.2407  0.0000  0.2573
Er  0.2407  0.2407  0.7427
Er  0.3333  0.6667  0.5000
Er  0.6667  0.3333  0.5000
Er  0.7593  0.0000  0.7427
Er  0.7593  0.7593  0.2573
C  0.0000  0.0000  0.5000
Se  0.0000  0.3946  0.7497
Se  0.0000  0.6054  0.2503
Se  0.3946  0.0000  0.7497
Se  0.3946  0.3946  0.2503
Se  0.6054  0.0000  0.2503
Se  0.6054  0.6054  0.7497

The 8 most intense peaks (5° ≤ 2θ ≤ 70°), sorted by position:
2θ (°), I (rel.)
26.4, 25
30.9, 20
33.0, 23
33.4, 14
36.6, 100
37.6, 20
37.9, 39
58.7, 24

# 5
*/

Result.
4